[To do]
Next, duplicate only the last part of the entries underneath, starting with the line that has "Properties".

[Contents]
____________
# 1
A structure of composition C43H41BN12O4PbSe. Source: the Open Molecules 2025 dataset; level of theory: ωB97M-V/def2-TZVPD.

## Properties
E_HOMO ... -8.2 eV
Energy relative to the best compared isomer or geometry (same formula, charge and spin) ... 193.3 kJ/mol
Net charge ... 0
F_max ... 0.0149 hartree/bohr
Kohn-Sham gap ... 6.2977 eV

Each line ends with the Löwdin charge.
Atoms and positions in Å:
Pb  -0.3039  0.2374  -1.2317  1.49
O  1.8728  -3.0021  -3.3202  0.04
C  1.3866  -1.9026  -3.0758  -0.62
O  0.2098  -1.6655  -2.6294  -0.21
C  2.2696  -0.6750  -3.2878  -0.19
C  3.4221  -0.7033  -4.0606  0.01
C  4.1488  0.4690  -4.2076  -0.04
C  3.7018  1.6277  -3.5855  0.01
C  2.5379  1.5626  -2.8352  -0.20
N  1.8617  0.4306  -2.6819  0.07
C  1.9474  2.7724  -2.1394  -0.66
O  2.6581  3.7625  -1.9706  0.02
O  0.7326  2.6318  -1.7554  -0.27
H  3.7122  -1.6343  -4.5263  0.12
H  5.0526  0.4786  -4.8034  0.11
H  4.2218  2.5715  -3.6672  0.12
C  -5.0836  -1.4090  1.8749  -0.02
C  -3.6649  -1.5642  1.4367  -0.26
C  -2.8353  -2.6193  1.7289  0.02
C  -1.6239  -2.3452  1.0726  -0.23
N  -1.7216  -1.1761  0.4310  0.02
N  -2.9743  -0.7013  0.6568  0.03
B  -3.5827  0.6130  0.1065  -0.50
N  -2.9787  1.8746  0.7993  0.04
N  -1.7086  2.2696  0.7466  0.11
C  -1.5995  3.3353  1.5570  -0.24
C  -2.8545  3.6206  2.1363  0.03
C  -3.7102  2.6849  1.6159  -0.25
C  -5.1761  2.5906  1.8830  -0.02
C  -0.4023  4.1327  1.7470  -0.15
C  0.6737  4.0858  0.7934  -0.35
C  1.8010  4.9529  0.9455  -0.05
C  1.8881  5.7812  2.0271  -0.05
C  0.8648  5.7624  2.9872  -0.01
C  -0.2615  4.9728  2.8481  -0.01
N  -3.5443  0.6768  -1.4438  0.04
N  -2.4299  0.6597  -2.2161  -0.02
C  -2.8079  0.6464  -3.4929  -0.23
C  -4.2056  0.6594  -3.5556  0.04
C  -4.6348  0.6803  -2.2421  -0.25
C  -6.0467  0.6829  -1.7594  -0.01
C  -1.8535  0.6140  -4.6042  -0.16
C  -2.1654  -0.0831  -5.7698  -0.02
C  -1.2631  -0.1280  -6.8188  -0.08
C  -0.0391  0.5182  -6.7143  -0.08
C  0.2665  1.2341  -5.5670  -0.07
C  -0.6377  1.2888  -4.5187  -0.04
C  -0.4849  -3.2733  1.0691  -0.16
C  0.3705  -3.3888  -0.0236  -0.02
C  1.3538  -4.3667  -0.0587  -0.07
C  1.4808  -5.2635  0.9920  -0.10
C  0.6332  -5.1571  2.0870  -0.10
C  -0.3266  -4.1616  2.1355  -0.04
H  -5.3724  -2.2894  2.4451  0.08
H  -5.7540  -1.3189  1.0201  0.08
H  -5.2189  -0.5306  2.5059  0.07
H  -3.0891  -3.4993  2.2936  0.11
H  -4.7249  0.6061  0.4126  0.09
H  -3.1025  4.4300  2.8006  0.11
H  -5.4626  3.4183  2.5287  0.08
H  -5.4371  1.6578  2.3820  0.07
H  -5.7574  2.6568  0.9635  0.08
H  0.3916  3.8671  -0.2510  0.10
H  2.5591  4.9088  0.1742  0.11
H  2.7348  6.4414  2.1524  0.11
H  0.9701  6.3757  3.8732  0.12
H  -1.0294  4.9944  3.6085  0.12
H  -4.8212  0.6705  -4.4381  0.11
H  -6.7180  0.7003  -2.6150  0.08
H  -6.2525  1.5518  -1.1350  0.07
H  -6.2550  -0.2124  -1.1734  0.08
H  -3.1089  -0.6091  -5.8396  0.11
H  -1.5116  -0.6775  -7.7173  0.10
H  0.6701  0.4705  -7.5303  0.10
H  1.2131  1.7548  -5.4856  0.11
H  -0.4137  1.8722  -3.6329  0.08
H  0.2129  -2.7585  -0.8855  0.07
H  1.9809  -4.4468  -0.9386  0.10
H  2.2155  -6.0589  0.9495  0.10
H  0.7068  -5.8665  2.9010  0.10
H  -0.9751  -4.0857  2.9988  0.11
Se  1.3959  2.0918  0.8863  1.14
C  1.9963  2.3639  2.6144  -0.57
N  2.4225  2.5600  3.6672  0.11
C  3.5715  -3.7252  4.8480  -0.08
C  4.5253  -2.7031  4.2382  -0.42
C  5.9773  -3.0610  4.5465  -0.08
C  4.3542  -2.6020  2.7132  -0.10
N  3.2770  -1.6932  2.3260  -0.07
C  3.1624  -0.9709  1.2063  -0.09
N  2.1179  -0.1839  1.3421  -0.13
N  1.5797  -0.4606  2.5457  0.00
N  2.2648  -1.3559  3.1378  0.10
H  3.6798  -3.7382  5.9330  0.08
H  3.8012  -4.7227  4.4680  0.08
H  2.5398  -3.4862  4.6044  0.06
H  4.3002  -1.7229  4.6646  0.13
H  6.2511  -3.9975  4.0555  0.09
H  6.1107  -3.1878  5.6201  0.08
H  6.6558  -2.2782  4.2052  0.08
H  4.1421  -3.5821  2.2844  0.13
H  5.2656  -2.2082  2.2619  0.13
H  3.8113  -1.0200  0.3493  0.15

---

# 2
____________

[Result]
## Properties
E_HOMO ... -8.2 eV
Energy relative to the best compared isomer or geometry (same formula, charge and spin) ... 193.3 kJ/mol
Net charge ... 0
F_max ... 0.0149 hartree/bohr
Kohn-Sham gap ... 6.2977 eV

Each line ends with the Löwdin charge.
Atoms and positions in Å:
Pb  -0.3039  0.2374  -1.2317  1.49
O  1.8728  -3.0021  -3.3202  0.04
C  1.3866  -1.9026  -3.0758  -0.62
O  0.2098  -1.6655  -2.6294  -0.21
C  2.2696  -0.6750  -3.2878  -0.19
C  3.4221  -0.7033  -4.0606  0.01
C  4.1488  0.4690  -4.2076  -0.04
C  3.7018  1.6277  -3.5855  0.01
C  2.5379  1.5626  -2.8352  -0.20
N  1.8617  0.4306  -2.6819  0.07
C  1.9474  2.7724  -2.1394  -0.66
O  2.6581  3.7625  -1.9706  0.02
O  0.7326  2.6318  -1.7554  -0.27
H  3.7122  -1.6343  -4.5263  0.12
H  5.0526  0.4786  -4.8034  0.11
H  4.2218  2.5715  -3.6672  0.12
C  -5.0836  -1.4090  1.8749  -0.02
C  -3.6649  -1.5642  1.4367  -0.26
C  -2.8353  -2.6193  1.7289  0.02
C  -1.6239  -2.3452  1.0726  -0.23
N  -1.7216  -1.1761  0.4310  0.02
N  -2.9743  -0.7013  0.6568  0.03
B  -3.5827  0.6130  0.1065  -0.50
N  -2.9787  1.8746  0.7993  0.04
N  -1.7086  2.2696  0.7466  0.11
C  -1.5995  3.3353  1.5570  -0.24
C  -2.8545  3.6206  2.1363  0.03
C  -3.7102  2.6849  1.6159  -0.25
C  -5.1761  2.5906  1.8830  -0.02
C  -0.4023  4.1327  1.7470  -0.15
C  0.6737  4.0858  0.7934  -0.35
C  1.8010  4.9529  0.9455  -0.05
C  1.8881  5.7812  2.0271  -0.05
C  0.8648  5.7624  2.9872  -0.01
C  -0.2615  4.9728  2.8481  -0.01
N  -3.5443  0.6768  -1.4438  0.04
N  -2.4299  0.6597  -2.2161  -0.02
C  -2.8079  0.6464  -3.4929  -0.23
C  -4.2056  0.6594  -3.5556  0.04
C  -4.6348  0.6803  -2.2421  -0.25
C  -6.0467  0.6829  -1.7594  -0.01
C  -1.8535  0.6140  -4.6042  -0.16
C  -2.1654  -0.0831  -5.7698  -0.02
C  -1.2631  -0.1280  -6.8188  -0.08
C  -0.0391  0.5182  -6.7143  -0.08
C  0.2665  1.2341  -5.5670  -0.07
C  -0.6377  1.2888  -4.5187  -0.04
C  -0.4849  -3.2733  1.0691  -0.16
C  0.3705  -3.3888  -0.0236  -0.02
C  1.3538  -4.3667  -0.0587  -0.07
C  1.4808  -5.2635  0.9920  -0.10
C  0.6332  -5.1571  2.0870  -0.10
C  -0.3266  -4.1616  2.1355  -0.04
H  -5.3724  -2.2894  2.4451  0.08
H  -5.7540  -1.3189  1.0201  0.08
H  -5.2189  -0.5306  2.5059  0.07
H  -3.0891  -3.4993  2.2936  0.11
H  -4.7249  0.6061  0.4126  0.09
H  -3.1025  4.4300  2.8006  0.11
H  -5.4626  3.4183  2.5287  0.08
H  -5.4371  1.6578  2.3820  0.07
H  -5.7574  2.6568  0.9635  0.08
H  0.3916  3.8671  -0.2510  0.10
H  2.5591  4.9088  0.1742  0.11
H  2.7348  6.4414  2.1524  0.11
H  0.9701  6.3757  3.8732  0.12
H  -1.0294  4.9944  3.6085  0.12
H  -4.8212  0.6705  -4.4381  0.11
H  -6.7180  0.7003  -2.6150  0.08
H  -6.2525  1.5518  -1.1350  0.07
H  -6.2550  -0.2124  -1.1734  0.08
H  -3.1089  -0.6091  -5.8396  0.11
H  -1.5116  -0.6775  -7.7173  0.10
H  0.6701  0.4705  -7.5303  0.10
H  1.2131  1.7548  -5.4856  0.11
H  -0.4137  1.8722  -3.6329  0.08
H  0.2129  -2.7585  -0.8855  0.07
H  1.9809  -4.4468  -0.9386  0.10
H  2.2155  -6.0589  0.9495  0.10
H  0.7068  -5.8665  2.9010  0.10
H  -0.9751  -4.0857  2.9988  0.11
Se  1.3959  2.0918  0.8863  1.14
C  1.9963  2.3639  2.6144  -0.57
N  2.4225  2.5600  3.6672  0.11
C  3.5715  -3.7252  4.8480  -0.08
C  4.5253  -2.7031  4.2382  -0.42
C  5.9773  -3.0610  4.5465  -0.08
C  4.3542  -2.6020  2.7132  -0.10
N  3.2770  -1.6932  2.3260  -0.07
C  3.1624  -0.9709  1.2063  -0.09
N  2.1179  -0.1839  1.3421  -0.13
N  1.5797  -0.4606  2.5457  0.00
N  2.2648  -1.3559  3.1378  0.10
H  3.6798  -3.7382  5.9330  0.08
H  3.8012  -4.7227  4.4680  0.08
H  2.5398  -3.4862  4.6044  0.06
H  4.3002  -1.7229  4.6646  0.13
H  6.2511  -3.9975  4.0555  0.09
H  6.1107  -3.1878  5.6201  0.08
H  6.6558  -2.2782  4.2052  0.08
H  4.1421  -3.5821  2.2844  0.13
H  5.2656  -2.2082  2.2619  0.13
H  3.8113  -1.0200  0.3493  0.15

---

# 2